Next, find the line further down that holds "0.1122 0.4355", then print that line and all lines after it there.

____________
Pr2Sm7Tm: theoretical powder diffraction line list (CuKα), based on DFT lattice parameters and positions (PBE).

```
data_Pr2Sm7Tm
_chemical_formula_sum 'Pr2 Sm7 Tm1'
_cell_length_a 6.2905
_cell_length_b 7.2580
_cell_length_c 8.1179
_cell_angle_alpha 77.11
_cell_angle_beta 75.04
_cell_angle_gamma 73.34
_symmetry_space_group_name_H-M 'P -1'
_symmetry_Int_Tables_number 2
_symmetry_space_group_name_Hall '-P 1'
loop_
_atom_site_label
_atom_site_fract_x
_atom_site_fract_y
_atom_site_fract_z
_atom_site_occupancy
Pr1 0.2008 0.2999 0.1020 1
Sm1 0.0000 0.0000 0.5000 1
Sm2 0.2002 0.7990 0.1011 1
Sm3 0.3968 0.1018 0.6976 1
Sm4 0.3999 0.6000 0.6977 1
Tm1 0.0000 0.5000 0.5000 1
```

The 6 most intense peaks (2θ from 10° to 90°), in order of rising 2θ:
hkl	d (Å)	2θ (°)	Rel. int.
2 0 1	2.965	30.14	100
2 2 0	2.568	34.94	51
1 4 1	1.816	50.25	36
0 4 3	1.549	59.69	22
4 2 1	1.548	59.76	22
2 6 3	1.178	81.78	12


KCo2SnCl8: theoretical powder diffraction line list (CuKα), based on DFT lattice parameters and positions (PBE).

```
data_KCo2SnCl8
_chemical_formula_sum 'K3 Co6 Sn3 Cl24'
_cell_length_a 6.5158
_cell_length_b 6.5158
_cell_length_c 28.4172
_cell_angle_alpha 90.00
_cell_angle_beta 90.00
_cell_angle_gamma 120.00
_symmetry_space_group_name_H-M 'R -3'
_symmetry_Int_Tables_number 148
_symmetry_space_group_name_Hall '-R 3'
loop_
_atom_site_label
_atom_site_fract_x
_atom_site_fract_y
_atom_site_fract_z
_atom_site_occupancy
K1 0.0000 0.0000 0.0000 1
Co1 0.0000 0.0000 0.2513 1
Sn1 0.0000 0.0000 0.5000 1
Cl1 0.0000 0.0000 0.3278 1
Cl2 0.0011 0.3522 0.4408 1
```

The 6 most intense peaks (2θ from 10° to 90°), in order of rising 2θ:
hkl	d (Å)	2θ (°)	Rel. int.
1 0 4	4.419	20.10	100
1 1 0	3.258	27.38	44
2 -1 3	3.081	28.98	37
1 1 6	2.684	33.38	42
2 -1 12	1.916	47.46	50
3 0 0	1.881	48.39	42


SnH8C2I3N: theoretical powder diffraction line list (CuKα), based on DFT lattice parameters and positions (PBE).

```
data_SnH8C2I3N
_chemical_formula_sum 'Sn4 H32 C8 I12 N4'
_cell_length_a 8.0554
_cell_length_b 8.9752
_cell_length_c 16.5814
_cell_angle_alpha 89.86
_cell_angle_beta 89.52
_cell_angle_gamma 89.89
_symmetry_space_group_name_H-M 'P 1'
_symmetry_Int_Tables_number 1
_symmetry_space_group_name_Hall 'P 1'
loop_
_atom_site_label
_atom_site_fract_x
_atom_site_fract_y
_atom_site_fract_z
_atom_site_occupancy
Sn1 0.0000 0.0000 0.0000 1
Sn2 0.0034 0.5356 0.5007 1
Sn3 0.5081 0.0030 0.9992 1
Sn4 0.5120 0.5327 0.4995 1
H1 0.0484 0.4071 0.9209 1
H2 0.0544 0.1310 0.4219 1
H3 0.0779 0.6106 0.8272 1
H4 0.0803 0.9258 0.3294 1
H5 0.1116 0.1003 0.2804 1
H6 0.1122 0.4355 0.7798 1
H7 0.2108 0.5132 0.9478 1
H8 0.2178 0.0246 0.4478 1
H9 0.2397 0.3465 0.9024 1
H10 0.2450 0.1907 0.4010 1
H11 0.3291 0.9186 0.2364 1
H12 0.3311 0.6160 0.7369 1
H13 0.3891 0.6463 0.8392 1
H14 0.3923 0.8904 0.3382 1
H15 0.4228 0.0665 0.2898 1
H16 0.4228 0.4692 0.7927 1
H17 0.4854 0.6376 0.1539 1
H18 0.4858 0.8945 0.6547 1
H19 0.5372 0.9638 0.7450 1
H20 0.5407 0.5763 0.2455 1
H21 0.6112 0.1359 0.6371 1
H22 0.6121 0.3936 0.1436 1
H23 0.6535 0.8283 0.7014 1
H24 0.6547 0.7080 0.1970 1
H25 0.7221 0.5337 0.0896 1
H26 0.7268 0.9909 0.5902 1
H27 0.8056 0.1280 0.7569 1
H28 0.8146 0.4178 0.2597 1
H29 0.9161 0.1625 0.6657 1
H30 0.9191 0.3728 0.1681 1
H31 0.9210 0.9820 0.7097 1
H32 0.9245 0.5583 0.2049 1
C1 0.1644 0.5163 0.8222 1
C2 0.1661 0.0200 0.3227 1
C3 0.3374 0.5646 0.7970 1
C4 0.3382 0.9712 0.2959 1
C5 0.6916 0.0394 0.6486 1
C6 0.6917 0.4920 0.1502 1
C7 0.8417 0.0795 0.6985 1
C8 0.8458 0.4591 0.1990 1
I1 0.2588 0.2216 0.0893 1
I2 0.2620 0.3136 0.5901 1
I3 0.2697 0.7315 0.0519 1
I4 0.2726 0.8037 0.5518 1
I5 0.2925 0.0584 0.8467 1
I6 0.2961 0.4785 0.3470 1
I7 0.7614 0.7789 0.9086 1
I8 0.7629 0.7564 0.4085 1
I9 0.7711 0.2604 0.9430 1
I10 0.7759 0.2754 0.4438 1
I11 0.7782 0.9715 0.1509 1
I12 0.7806 0.5645 0.6512 1
N1 0.1666 0.4419 0.9035 1
N2 0.1720 0.0955 0.4035 1
N3 0.5857 0.9249 0.6907 1
N4 0.5869 0.6104 0.1898 1
```

The 6 most intense peaks (2θ from 10° to 90°), in order of rising 2θ:
____________

H6 0.1122 0.4355 0.7798 1
H7 0.2108 0.5132 0.9478 1
H8 0.2178 0.0246 0.4478 1
H9 0.2397 0.3465 0.9024 1
H10 0.2450 0.1907 0.4010 1
H11 0.3291 0.9186 0.2364 1
H12 0.3311 0.6160 0.7369 1
H13 0.3891 0.6463 0.8392 1
H14 0.3923 0.8904 0.3382 1
H15 0.4228 0.0665 0.2898 1
H16 0.4228 0.4692 0.7927 1
H17 0.4854 0.6376 0.1539 1
H18 0.4858 0.8945 0.6547 1
H19 0.5372 0.9638 0.7450 1
H20 0.5407 0.5763 0.2455 1
H21 0.6112 0.1359 0.6371 1
H22 0.6121 0.3936 0.1436 1
H23 0.6535 0.8283 0.7014 1
H24 0.6547 0.7080 0.1970 1
H25 0.7221 0.5337 0.0896 1
H26 0.7268 0.9909 0.5902 1
H27 0.8056 0.1280 0.7569 1
H28 0.8146 0.4178 0.2597 1
H29 0.9161 0.1625 0.6657 1
H30 0.9191 0.3728 0.1681 1
H31 0.9210 0.9820 0.7097 1
H32 0.9245 0.5583 0.2049 1
C1 0.1644 0.5163 0.8222 1
C2 0.1661 0.0200 0.3227 1
C3 0.3374 0.5646 0.7970 1
C4 0.3382 0.9712 0.2959 1
C5 0.6916 0.0394 0.6486 1
C6 0.6917 0.4920 0.1502 1
C7 0.8417 0.0795 0.6985 1
C8 0.8458 0.4591 0.1990 1
I1 0.2588 0.2216 0.0893 1
I2 0.2620 0.3136 0.5901 1
I3 0.2697 0.7315 0.0519 1
I4 0.2726 0.8037 0.5518 1
I5 0.2925 0.0584 0.8467 1
I6 0.2961 0.4785 0.3470 1
I7 0.7614 0.7789 0.9086 1
I8 0.7629 0.7564 0.4085 1
I9 0.7711 0.2604 0.9430 1
I10 0.7759 0.2754 0.4438 1
I11 0.7782 0.9715 0.1509 1
I12 0.7806 0.5645 0.6512 1
N1 0.1666 0.4419 0.9035 1
N2 0.1720 0.0955 0.4035 1
N3 0.5857 0.9249 0.6907 1
N4 0.5869 0.6104 0.1898 1
```

The 6 most intense peaks (2θ from 10° to 90°), in order of rising 2θ: